Lottery is a form of gambling in which numbers are drawn to determine a prize. The prizes can range from cash to goods. It is a popular form of entertainment and has been used for centuries. The earliest records of lotteries date to the 15th century, when the Low Countries had numerous lottery-like games to raise money for town fortifications, poor relief, and other public uses. Lotteries were viewed as painless taxation, since the players voluntarily spent their own money, instead of having it forced upon them by state governments that often had a variety of other regressive taxes.
Lotteries have become popular in America. In fact, there are now more states that have a lottery than do not. Despite the success of lotteries, they have also been subject to criticism. These critics are concerned about the problems associated with compulsive gamblers, the regressive impact on lower-income groups, and other issues of public policy. These concerns are often a result of the way in which lotteries are established and operated.
Data records, kept here for reference >
No. 1
Entry from the Alexandria database: a relaxed NaSrTlGe crystal (PBE).

Properties
**Space group**: F-43m, No. 216

a = 5.4253 Å, b = 5.4253 Å, c = 5.4253 Å
α = 60.00°, β = 60.00°, γ = 60.00°
Closest atoms and distances in Å follow each position.
Fractional coordinates of all 4 atoms:
1 Tl 0.7500 0.7500 0.7500  4 Na 3.32, 4 Sr 3.32
2 Ge 0.2500 0.2500 0.2500  4 Na 3.32, 4 Sr 3.32
3 Na 0.0000 0.0000 0.0000  4 Ge 3.32, 4 Tl 3.32
4 Sr 0.5000 0.5000 0.5000  4 Ge 3.32, 4 Tl 3.32

No. 2
Entry from the Alexandria database: a relaxed BaCo2IrSe8 crystal (PBE).

Properties
**Space group**: P-3, No. 147

a = 6.0407 Å, b = 6.0407 Å, c = 8.7327 Å
α = 90.00°, β = 90.00°, γ = 120.00°
Closest atoms and distances in Å follow each position.
Fractional coordinates of all 12 atoms:
1 Se 0.3333 0.6667 0.0077  1 Co 2.19
2 Se 0.3573 0.0133 0.6528  1 Co 2.22
3 Ba 0.0000 0.0000 0.0000  12 Se 3.49-3.70
4 Se 0.0133 0.6560 0.3472  1 Co 2.22
5 Se 0.9867 0.3440 0.6528  1 Co 2.22
6 Co 0.6667 0.3333 0.2425  4 Se 2.19-2.22
7 Se 0.6427 0.9867 0.3472  1 Co 2.22
8 Se 0.6560 0.6427 0.6528  1 Co 2.22
9 Se 0.3440 0.3573 0.3472  1 Co 2.22
10 Co 0.3333 0.6667 0.7575  4 Se 2.19-2.22
11 Se 0.6667 0.3333 0.9923  1 Co 2.19
12 Ir 0.0000 0.0000 0.5000  6 Se 2.50

No. 3
Entry from the Alexandria database: a relaxed SmH4Rh crystal (PBE).

Properties
**Space group**: Immm, No. 71

a = 3.9203 Å, b = 4.4984 Å, c = 4.4984 Å
α = 61.75°, β = 64.17°, γ = 64.17°
Closest atoms and distances in Å follow each position.
Fractional coordinates of all 6 atoms:
1 Sm 0.0019 0.5027 0.4987  12 H 2.50-2.52
2 H 0.3300 0.4379 0.9068  1 Rh 1.67
3 H 0.6737 0.5676 0.0906  1 Rh 1.67
4 H 0.3300 0.9108 0.4339  1 Rh 1.67
5 H 0.6737 0.0946 0.5636  1 Rh 1.67
6 Rh 0.5019 0.0027 0.9987  4 H 1.67

No. 4
Entry from the Alexandria database: a relaxed CaAgTeBr crystal (PBE).

Properties
**Space group**: R-3m, No. 166

a = 4.5306 Å, b = 4.5306 Å, c = 14.1919 Å
α = 80.82°, β = 80.82°, γ = 60.00°
Closest atoms and distances in Å follow each position.
Fractional coordinates of all 8 atoms:
1 Br 0.7069 0.7069 0.8792  3 Ca 2.97
2 Te 0.8824 0.8824 0.3527  4 Ag 2.88-2.89, 3 Ca 3.19
3 Te 0.1176 0.1176 0.6473  4 Ag 2.88-2.89, 3 Ca 3.19
4 Br 0.2931 0.2931 0.1208  3 Ca 2.97
5 Ca 0.4075 0.4075 0.7776  3 Br 2.97, 3 Te 3.19
6 Ca 0.5925 0.5925 0.2224  3 Br 2.97, 3 Te 3.19
7 Ag 0.1865 0.1865 0.4406  4 Te 2.88-2.89, 3 Ag 3.10
8 Ag 0.8135 0.8135 0.5594  4 Te 2.88-2.89, 3 Ag 3.10

no.,VASP energy (eV per atom)
1,-2.75
2,-4.76
3,-4.73
4,-3.60

~~~~~

Entry 1:
Below is a relaxed structure of Pr4GaHg2, with properties calculated at the PBE level.

Computed properties:
M_tot (Bohr magnetons per cell): 4.138
DOS at the Fermi energy (states/eV/f.u.): 8.934
Energy of formation from the pure elements (eV per atom): -0.33

```
data_Pr4GaHg2
_cell_length_a 5.3690
_cell_length_b 5.3690
_cell_length_c 25.8881
_cell_angle_alpha 90.00
_cell_angle_beta 90.00
_cell_angle_gamma 120.00
_space_group_name_H-M_alt 'R -3 m'
_space_group_IT_number 166
The first concern is that a lotteries tend to become addictive. This is because they are not very expensive, but the amount of money that can be won can accumulate quickly. This can lead to a revolving door of debt, and it is not uncommon for people who win the lottery to find themselves worse off than before they started playing. Additionally, there are many cases of families who have lost their houses after winning the lottery.
Another issue that critics of lotteries point to is the way in which they are promoted and marketed. They argue that the majority of the proceeds are spent on advertising and promotional activities, rather than on the actual prizes. They also point to the prevalence of quote-unquote “systems” that are not based on statistical reasoning. Moreover, they note that people who buy tickets do not necessarily understand the odds of winning.
A final issue is that lottery officials have a tendency to make policy decisions piecemeal and incrementally, without a general overview of the industry. This makes the development of a state lottery more like an evolutionary process than a legislative one, with officials reacting to and shaping the ongoing evolution of the industry. This leads to a situation in which the overall welfare of the general public is rarely taken into account when lottery policies are made.
In addition, the lottery system often erodes state fiscal discipline. This is because state officials are prone to relying on lottery revenues for their budgets, even when other sources of revenue are available. This is particularly true in the immediate post-World War II period, when the economic boom was allowing states to expand their array of social safety nets. As a result, lottery revenues have often been seen as an easy way for politicians to justify spending increases that would otherwise be difficult to get through the legislature. This dynamic has helped to sustain a high level of support for state lotteries among voters and politicians, but it has also created a number of problems with which modern lotteries have struggled.